“I’m not going to go anywhere,” she promised, daring to step toward the bed. “See, you act as if you have a choice in this, but you really don’t.I love you,” she said firmly.
He winced, eyes narrowing, and looked away. Alex thought he was trying to come up with another argument, but his Adam’s apple bounced, and she realized he was actually trying to control his emotions. Daring to reach out, she rested her hand on his shoulder. He looked at her, jaw clenched, and took her hand in his own. “I guess it’s good we’re in the hospital, because I think I need to get my heart checked. I don’t think it’s working right.”
Alex’s eyes filled with tears. “Let me check. It just so happens I’m a doctor.”
She leaned forward enough to press her lips to his, and she couldn’t contain her tears any longer. Duncan cupped her jaw, kissing the tears away. “Don’t cry babe. I don’t want you to cry. I never did. I just didn’t want to tie you down.”
Laughing, she pulled back enough to look him in the eye. “I want to be tied down, damn it.”
So conscious of his injuries, she leaned forward as much as she could to hug him. With a not-so-gentle tug, he pulled her down beside him. He gasped in pain and stilled for a moment, then pulled her upper body against his, wrapping his arms completely around her. They lay against each other for several long minutes, before a voice broke the silence.
“Mind if I interrupt?”
They looked up at Aiden Willingham standing in the doorway.
John watched the manin the blue scrubs walk by, and something jangled at his nerves. That was the guy!
Slamming his hands against the wheels, he made a motion to Harper. Immediately the big man went on alert, and they headed down the hallway. By the time he reached Duncan’s room, the other man had already entered. Not caring who he pissed off, he rolled in behind him.
When the guy looked up and gave him a wink, John realized he’d been reeled in like a fish. He’d wanted to be seen and followed, that was the only reason they were all together now in this room. Duncan was holding Alex against him on the bed, and it was obvious something heavy had just gone down. Alex wiped her face and forced a smile, but Duncan stared at the stranger with a considering look in his eyes.
“Aiden,” Duncan said carefully.
The younger man tipped his head forward in a slight bow of acknowledgement. “Duncan. Dr. Hartfield.”
The stranger took a step toward the bed, but so did Harper. Aiden glanced at the big man and gave him a tight smile. “That’s a great shot you made yesterday.”
Harper gave a single twist of his head in the negative. “Obviously not. He got away.”
Aiden made a little shrug. “It may have been better than you think.”
John looked at the man who had them all up in arms. He was about six feet tall, maybe a little more, but lean, like it had been a while since he’d taken care of himself. His dark hair was pulled back into a low ponytail. It was in the face that John could finally see the resemblance to his own. It set his heart to thudding. Deep set dark brown eyes, a long straight nose, strong chin. It had been a few days since the man had shaved, so stubble covered his jaw. Put them side by side and the similarity was strong. John’s complexion seemed a little darker, and his eyes deeper.
“Damn,” Duncan said, his voice soft.
Apparently John wasn’t the only one to see the similarity.
“No doubt about it, is there?” Alex asked softly.
-- begin --
First-principles (GGA-PBE) data for Rh2S3 after structural relaxation, as listed in the Materials Project. Values from VASP.

Structure (Quantum ESPRESSO input):
```
&SYSTEM
  ibrav = 0, nat = 20, ntyp = 2
/
ATOMIC_SPECIES
S 32.06 S.upf
Rh 102.91 Rh.upf
ATOMIC_POSITIONS crystal
S 0.6096 0.6067 0.8489
S 0.5465 0.7500 0.5000
S 0.8904 0.1067 0.6511
S 0.0465 0.7500 0.0000
S 0.1096 0.6067 0.6511
S 0.6096 0.8933 0.1511
S 0.3904 0.3933 0.1511
S 0.8904 0.3933 0.3489
S 0.9535 0.2500 0.0000
S 0.4535 0.2500 0.5000
S 0.3904 0.1067 0.8489
S 0.1096 0.8933 0.3489
Rh 0.7485 0.5321 0.1071
Rh 0.2515 0.0321 0.1071
Rh 0.2485 0.5321 0.3929
Rh 0.2485 0.9679 0.6071
Rh 0.2515 0.4679 0.8929
Rh 0.7485 0.9679 0.8929
Rh 0.7515 0.0321 0.3929
Rh 0.7515 0.4679 0.6071
CELL_PARAMETERS angstrom
6.0546 0.0000 0.0000
0.0000 6.2002 0.0000
0.0000 0.0000 8.5617
```

- SG = Pbcn (60)
- E (Ha/atom) = -0.21638
- calculated density (g/cm³) = 6.24

---

First-principles (GGA-PBE) data for Rh3S4 after structural relaxation, as listed in the Materials Project. Values from VASP.

Structure (Quantum ESPRESSO input):
```
&SYSTEM
  ibrav = 0, nat = 21, ntyp = 2
/
ATOMIC_SPECIES
Rh 102.91 Rh.upf
S 32.06 S.upf
ATOMIC_POSITIONS crystal
Rh 0.0000 0.0000 0.5000
Rh 0.8391 0.1609 0.0000
Rh 0.1609 0.8391 0.0000
Rh 0.6500 0.6500 0.0524
Rh 0.5084 0.2158 0.5494
Rh 0.4916 0.7842 0.4506
Rh 0.3500 0.3500 0.9476
Rh 0.7842 0.4916 0.4506
Rh 0.2158 0.5084 0.5494
S 0.2838 0.9670 0.6143
S 0.8827 0.8827 0.8883
S 0.4406 0.8588 0.1008
S 0.0330 0.7162 0.3857
S 0.1412 0.5594 0.8992
S 0.1173 0.1173 0.1117
S 0.9670 0.2838 0.6143
S 0.5594 0.1412 0.8992
S 0.5841 0.5841 0.7265
S 0.8588 0.4406 0.1008
S 0.4159 0.4159 0.2735
S 0.7162 0.0330 0.3857
CELL_PARAMETERS angstrom
5.4508 5.2428 0.0000
-5.4508 5.2428 0.0000
0.0000 1.9427 6.0132
```

- SG = C2/m (12)
- E (Ha/atom) = -0.22022
- calculated density (g/cm³) = 6.33

---

First-principles (GGA-PBE) data for RhS2 after structural relaxation, as listed in the Materials Project. Values from VASP.

Structure (Quantum ESPRESSO input):
```
&SYSTEM
  ibrav = 0, nat = 12, ntyp = 2
/
ATOMIC_SPECIES
Rh 102.91 Rh.upf
S 32.06 S.upf
ATOMIC_POSITIONS crystal
Rh 0.5000 0.5000 0.0000
Rh 0.0000 0.5000 0.5000
Rh 0.5000 0.0000 0.5000
Rh 0.0000 0.0000 0.0000
S 0.1091 0.8909 0.3909
S 0.3909 0.3909 0.3909
S 0.8909 0.3909 0.1091
S 0.6091 0.6091 0.6091
S 0.8909 0.1091 0.6091
S 0.1091 0.6091 0.8909
S 0.6091 0.8909 0.1091
S 0.3909 0.1091 0.8909
CELL_PARAMETERS angstrom
-1.3186 -3.8305 4.1125
5.6185 -0.7976 1.0586
-0.1342 4.2445 3.9104
```

- SG = Pa-3 (205)
- E (Ha/atom) = -0.20493
- calculated density (g/cm³) = 5.77

---

First-principles (GGA-PBE) data for SbRhS after structural relaxation, as listed in the Materials Project. Values from VASP.

Structure (Quantum ESPRESSO input):
```
&SYSTEM
  ibrav = 0, nat = 12, ntyp = 3
/
ATOMIC_SPECIES
Sb 121.76 Sb.upf
Rh 102.91 Rh.upf
S 32.06 S.upf
ATOMIC_POSITIONS crystal
Sb 0.3787 0.1213 0.8787
Sb 0.1213 0.8787 0.3787
Sb 0.8787 0.3787 0.1213
-- stop --
Duncan shook his head. “Why all the subterfuge, Aiden? What’s been going on?”
Hooking a foot under the edge of the spare chair, the other man pulled it close and sank down into it. “This is going to be frustrating, and I apologize, but there are a lot of things I just can’t talk about. Not because I don’t want to,” he looked at John, “but because it would put you guys in danger.”
“It’s already put us in danger,” John growled, “as well as the lives of my fiancée and children.”
Aiden winced and gave him a sad look. “I know, and for that I apologize. I got entangled in some private sector, government sanctioned bad stuff…experimentation. A group of us knew it was bad and have tried to make a clean exit, but they have leverage over all of us. They don’t want us exposing them for what they’re doing. We need to track down the people pulling the strings, and to do that we need to follow the chain up. The man who shot at you is a French assassin by the name of LeBoutin. I trained with him at one point, and he’s a badass.”
“So, back up here,” Duncan said softly. “Why were you living on the streets last year? And why the hell did you end up in KC?”
Aiden sighed. “I needed a way to get close to Palmer without walking up and introducing myself. The men that ran the program knew I had a brother. They’d been able to find more information than I ever had on my own when I turned eighteen. They told me about you.” He looked at John directly, and held his gaze. “They told me about my drug addicted mother giving you up when you were just a kid. And how you’d been in the Marines and been injured. But then they began to hold your safety over my head for my cooperation. They liked to use… creative instruction to get what they wanted.”
Aiden shrugged and looked away, and John could see a swirling conglomeration of emotions in his face. It was obvious the ‘creative instruction’ meant physical correction…torture. The look in his eyes suggested devastating methods had been used.
“Anyway,” Aiden cleared his throat, “a group of us broke away from the camp and have been on the run for several months now. Well, they tracked our fourth man down and took him out. Left a very clear message that it was time for us to come in, and gave us a deadline. That deadline has passed. So they’ve sent people to retrieve us, or, if that’s not possible, to silence us.”
Again he paused, and Alex moved like she wanted to go to him for comfort. John tightened his grip on the wheels of his chair, struggling with the same urge.